"The Cobra Event", by Richard Preston was incredibly intimidating book that left me in awe till the very last page. It starts off with what appears to be a part of biological experiment in secluded area which hints of immense power of biological weapon. Then we get a piece of history, in which President Richard Nixon confirms the power/danger of these weapons and ends the manufacturing of biological weapons. Then the main story folds out.…
Any microorganism that produces infection when the health and immunity of the host is severely weakened.…
Anthrax used to kill millions of sheep and cows in france and undoubtedly more in the rest of the world. It was a huge economic drain for herdsman and could be dangerous to humans as well.…
Parasites. These are micro-organisms that live off other organisms or a host so they are able to survive. Some parasites don’t affect the host. But others grow, reproduce, or can even give off toxins that make the host sick resulting in a parasitic infection. They include; protozoan, fungi, and multi-cellular organisms.…
CaB2H8 | PBE | optimized geometry

## Properties
**Polymorph energy (0 for the lowest one)**: 8 meV per atom
**SG**: Pbca
**Formation energy**: -0.472 eV per atom
**Spin magnetization**: 0.00 Bohr magnetons per cell

Lattice parameters (Å, degrees): 7.444 8.254 12.854 90.00 90.00 90.00
Atoms (fractional coordinates):
Ca 0.145 0.373 0.626
Ca 0.645 0.627 0.874
Ca 0.855 0.127 0.126
Ca 0.355 0.873 0.374
Ca 0.855 0.627 0.374
Ca 0.355 0.373 0.126
Ca 0.145 0.873 0.874
Ca 0.645 0.127 0.626
B 0.671 0.832 0.511
B 0.171 0.168 0.989
B 0.329 0.668 0.011
B 0.829 0.332 0.489
B 0.329 0.168 0.489
B 0.016 0.414 0.221
B 0.516 0.586 0.279
B 0.829 0.832 0.011
B 0.671 0.332 0.989
B 0.171 0.668 0.511
B 0.984 0.086 0.721
B 0.484 0.914 0.779
B 0.984 0.586 0.779
B 0.484 0.414 0.721
B 0.016 0.914 0.279
B 0.516 0.086 0.221
H 0.141 0.345 0.265
H 0.641 0.655 0.235
H 0.859 0.155 0.765
H 0.359 0.845 0.735
H 0.859 0.655 0.735
H 0.359 0.345 0.765
H 0.141 0.845 0.235
H 0.641 0.155 0.265
H 0.033 0.561 0.229
H 0.533 0.439 0.271
H 0.967 0.939 0.729
H 0.467 0.061 0.771
H 0.967 0.439 0.771
H 0.467 0.561 0.729
H 0.033 0.061 0.271
H 0.533 0.939 0.229
H 0.875 0.366 0.258
H 0.375 0.634 0.242
H 0.125 0.134 0.758
H 0.625 0.866 0.742
H 0.125 0.634 0.742
H 0.625 0.366 0.758
H 0.875 0.866 0.242
H 0.375 0.134 0.258
H 0.692 0.687 0.528
H 0.192 0.313 0.972
H 0.308 0.813 0.028
H 0.808 0.187 0.472
H 0.308 0.313 0.472
H 0.808 0.687 0.028
H 0.692 0.187 0.972
H 0.192 0.813 0.528
H 0.016 0.390 0.127
H 0.516 0.610 0.373
H 0.984 0.110 0.627
H 0.484 0.890 0.873
H 0.984 0.610 0.873
H 0.484 0.390 0.627
H 0.016 0.890 0.373
H 0.516 0.110 0.127
H 0.523 0.868 0.546
H 0.023 0.132 0.954
H 0.477 0.632 0.046
H 0.977 0.368 0.454
H 0.477 0.132 0.454
H 0.977 0.868 0.046
H 0.523 0.368 0.954
H 0.023 0.632 0.546
H 0.678 0.865 0.417
H 0.178 0.135 0.083
H 0.322 0.635 0.917
H 0.822 0.365 0.583
H 0.322 0.135 0.583
H 0.822 0.865 0.917
H 0.678 0.365 0.083
H 0.178 0.635 0.417
H 0.794 0.906 0.552
H 0.294 0.094 0.948
H 0.206 0.594 0.052
H 0.706 0.406 0.448
H 0.206 0.094 0.448
H 0.706 0.906 0.052
H 0.794 0.406 0.948
H 0.294 0.594 0.552

CaB2H8 | PBE | optimized geometry

## Properties
**Polymorph energy (0 for the lowest one)**: 20 meV per atom
**SG**: Pbca
**Formation energy**: -0.460 eV per atom
**Spin magnetization**: 0.00 Bohr magnetons per cell

Lattice parameters (Å, degrees): 13.468 8.561 7.501 90.00 90.00 90.00
Atoms (fractional coordinates):
Ca 0.122 0.376 0.153
Ca 0.622 0.124 0.847
Ca 0.878 0.876 0.347
Ca 0.378 0.624 0.653
Ca 0.878 0.624 0.847
Ca 0.378 0.876 0.153
Ca 0.122 0.124 0.653
Ca 0.622 0.376 0.347
B 0.714 0.416 0.039
B 0.214 0.084 0.961
B 0.286 0.916 0.461
B 0.786 0.584 0.539
B 0.286 0.584 0.961
B 0.786 0.916 0.039
B 0.714 0.084 0.539
B 0.214 0.416 0.461
B 0.999 0.843 0.665
B 0.499 0.657 0.335
B 0.001 0.343 0.835
B 0.501 0.157 0.165
B 0.001 0.157 0.335
B 0.501 0.343 0.665
B 0.999 0.657 0.165
B 0.499 0.843 0.835
H 0.757 0.323 0.136
H 0.257 0.177 0.864
H 0.243 0.823 0.364
H 0.743 0.677 0.636
H 0.243 0.677 0.864
Agent Orange played a major role in the Vietnam War. Without the knowledge that Agent Orange could cause more damage than good, the United States employed this chemical to defoliate the vegetation. Using the chemical was supposed to help the Soldiers shift through the foliage so they may carry out their mission. Everything was going smoothly and as planned until they realized what Agent Orange really was.…
While routes of transmission vary for different pathogens, a given pathogen will use a given route of transmission. This has been used in the weaponisation of pathogens. The best-known example is anthrax. The bacterium that causes anthrax—Bacillus anthraces—can form an environmentally hardy form called a spore. The spore is very small and light.…
Anthrax is sometimes used a weapon, as it is highly effective. It was used throughout the First World War to contaminate animal feed and livestock…
"Of course I don 't have my underwear. I 'm definitely not wearing my underwear.... These are not boxer shorts. Mine are boxer shorts. These are Hanes 32... My boxer shorts have my name and it says Raymond...I get my boxer shorts at K-Mart in Cincinnati". (Rain Man, 1988) This quote from the popular movie Rain Man perfectly captures the disorder that plagues Raymond Bobbitt, one of the main characters. He is a very particular man who must always do everything on a schedule; any disruption in this schedule completely turns his world upside down. He shows very little emotion, unless something happens to upset him, in which case he completely melts down. His behavior is almost that of a young child. However, he also has a very unique gift. He has an absolutely astounding memory and can recall the smallest details from events that occurred when he was just a young child. At one…
Bioterrorism (Biological Warfare) is defined as the usage of infectious agents in killing or causing injuries to human’s, plants, and animals. It has been used all over the world by many different countries. Along with nuclear and chemical weapons, biological weapons are classified as a Weapon of Mass Destruction (2). It’s a mass destruction weapon because of it being highly contagious and having the ability to spread, creating a “blast radius” that is virtually endless. The reason why the impact of bioterrorism is so big nowadays is because powerful nations have the technology to create and also vaccinate different diseases while their weaker counter parts cannot (4).…
Agent Orange is a chemical herbicide used as a defoliant by the United Stated military forces during the Vietnam War to eliminate the forest. A defoliant is a chemical that removes the leaves from trees and plants. The Vietnamese soldiers were using the forest as cover to attack the enemies. The military also sprayed a chemical mixture on the crops that were used to feed the Vietnamese army and population. The original problem that the U.S. military was trying to solve with the “Rainbow Chemicals” was to eliminate the mangroves and to expose the Vietnamese soldiers. Agent Orange was the main chemical used to try and solve the military’s problem. Along with Agent Orange there was also Agent White, Purple, Pink, Green, and Blue. All of these…
I have decided to do my research paper about the effects of Agent Orange on the ecosystem and environment of Vietnam and the soldiers who were fighting during the Vietnam war. This topic is one of many examples of how dangerous chemical being used for warfare also destroyed the environment. This event also caused damage to the people who were in contact with the agent and spread genetically through their descendants. I often wonder how the government can use such dangerous chemicals without thinking of the consequences it would have on the people involved. I want to understand the negative effects of agent Orange during the Vietnam war.…
There have been early signs of different civilizations using these types of methods against their opponents in competition for territory, resource, and dominance- which is not all to different with this day in age, but just in a much larger scale. Scythian and other earlier civilizations have used bodies of contaminated victims in their attacks towards their rivals. Scythian archers infected their arrows by dipping them in decomposing bodies or in blood mixed with manure as far back as 400 B.C.E. (Hooker, History of Biowarfare) When these arrows hit their target, the bacteria from the decomposing bodies or the blood would cause their victim to have an infection. This would be a game changer because if their target were to not be completely impaled by the infected arrow, a simple cut would suffice from bacteria entering the bloodstream and basically poisoning them. Furthermore, just during the eighteenth century, the British gave Native Americans blankets that were contaminated with Smallpox by the orders of Sir Jeffrey Amherst in an attempt to spread the disease. The Commanders of Fort Pitt gave two blankets and a handkerchief out of the Smallpox hospital to the Indian leaders in hopes of defeating them so that their fort won’t be overrun. (Dando, Before 1945) This devastating point in history is outlined by the horrendous fates of the Native Americans of both North…
Microbiology is a specialized area of biology that places an emphasis on microorganisms. Several microorganisms are included in this subject, such as bacteria, fungi, algae and protozoa.…
Agent Orange was used during the Vietnam War to destroy thickly forested areas. Agent Orange was a chemical mix and was the most commonly used herbicide and was the most effective for the task soldiers were trying to achieve. In just 9 years…
7. In their never-ending quest to seek more efficient killing methods, scientists and engineers in the U.S. Army’s research and development division have produced a new biological agent. From previous studies the bio-technicians have seen that all biological agents capable of destroying the central nervous system are more cost-effective…